File:
/*
Entry 1
Pm3Y8Sc2 GGA-PBE optimized geometry; symmetry = P2/m
1.0
-5.200 0.211 -0.406
-0.699 -4.633 6.532
0.348 11.305 1.434
Pm Y Sc
3 8 2
Cartesian
-2.600 0.106 -0.203 Pm
-0.217 -0.807 2.360 Pm
-5.333 7.691 5.200 Pm
-0.394 0.921 5.527 Y
-5.156 5.963 2.033 Y
0.034 2.395 0.809 Y
-5.585 4.489 6.751 Y
-2.767 5.051 4.518 Y
-2.519 8.227 3.001 Y
-3.031 -1.343 4.559 Y
-2.784 1.833 3.042 Y
-2.517 4.418 0.985 Sc
-3.033 2.466 6.575 Sc

***

Entry 2
Pm3Y8Sc2 GGA-PBE optimized geometry; symmetry = C2/m
1.0
-5.702 3.541 -1.481
1.259 1.223 8.332
5.846 5.903 1.864
Pm Y Sc
3 8 2
Cartesian
-2.851 1.771 -0.741 Pm
5.043 5.084 2.996 Pm
2.062 2.042 7.200 Pm
2.846 4.982 5.624 Y
-1.443 5.686 3.091 Y
-3.765 4.810 0.811 Y
5.168 5.857 7.904 Y
-0.059 2.964 4.512 Y
1.627 4.684 2.135 Y
-0.224 5.983 6.580 Y
1.462 7.703 4.204 Y
-0.916 2.757 1.346 Sc
2.319 7.910 7.370 Sc

***

It is entry 1 that is most stable; the runner-up trails by 0.115 eV/atom.

=====

1.
A geometry-optimized ErAgSnAu structure, computed with GGA-PBE.

a b c (Å): 4.9516 4.9516 4.9516
angles (deg): 60.00 60.00 60.00
Fractional coordinates of all 4 atoms:
1 Au 0.0000 0.0000 0.0000
2 Er 0.7500 0.7500 0.7500
3 Sn 0.2500 0.2500 0.2500
4 Ag 0.5000 0.5000 0.5000

Properties
The calculation puts the magnetic moment at 0.00 μB per formula unit. The density comes out at 11.4 Mg/m³. Its uncorrected energy is -4.19 eV/atom. As for the space group: F-43m (216).

2.
A geometry-optimized SrErAgAu structure, computed with GGA-PBE.

a b c (Å): 5.2463 5.2463 5.2463
angles (deg): 60.00 60.00 60.00
Fractional coordinates of all 4 atoms:
1 Er 0.5000 0.5000 0.5000
2 Ag 0.2500 0.2500 0.2500
3 Au 0.7500 0.7500 0.7500
4 Sr 0.0000 0.0000 0.0000

Properties
The calculation puts the magnetic moment at 0.00 μB per formula unit. The density comes out at 9.1 Mg/m³. Its uncorrected energy is -3.55 eV/atom. As for the space group: F-43m (216).

3.
A geometry-optimized TbErAgAu structure, computed with GGA-PBE.

a b c (Å): 3.5898 3.5898 7.2850
angles (deg): 90.00 90.00 90.00
Fractional coordinates of all 4 atoms:
1 Ag 0.0000 0.0000 0.8652
2 Tb 0.5000 0.5000 0.6018
3 Au 0.0000 0.0000 0.3485
4 Er 0.5000 0.5000 0.1124

Properties
The calculation puts the magnetic moment at 0.00 μB per formula unit. The density comes out at 11.2 Mg/m³. The energy above the most stable polymorph in this dataset comes out at 0.000 eV per atom. As for the space group: P4mm (99).

4.
A geometry-optimized TbErAgAu structure, computed with GGA-PBE.

a b c (Å): 5.1002 5.1002 5.1002
angles (deg): 60.00 60.00 60.00
Fractional coordinates of all 4 atoms:
1 Au 0.7500 0.7500 0.7500
2 Tb 0.0000 0.0000 0.0000
3 Ag 0.2500 0.2500 0.2500
4 Er 0.5000 0.5000 0.5000

Properties
The calculation puts the magnetic moment at 0.00 μB per formula unit. The density comes out at 11.2 Mg/m³. The energy above the most stable polymorph in this dataset comes out at 0.006 eV per atom. As for the space group: F-43m (216).

=====

No. 1
# SrTm2In2Hg2

An optimized crystal structure of SrTm2In2Hg2 (PBE, Alexandria via LeMat-Bulk).
*/

Activity:
Restate the lines further up without altering anything.

Reply:
Entry 1
Pm3Y8Sc2 GGA-PBE optimized geometry; symmetry = P2/m
1.0
-5.200 0.211 -0.406
-0.699 -4.633 6.532
0.348 11.305 1.434
Pm Y Sc
3 8 2
Cartesian
-2.600 0.106 -0.203 Pm
-0.217 -0.807 2.360 Pm
-5.333 7.691 5.200 Pm
-0.394 0.921 5.527 Y
-5.156 5.963 2.033 Y
0.034 2.395 0.809 Y
-5.585 4.489 6.751 Y
-2.767 5.051 4.518 Y
-2.519 8.227 3.001 Y
-3.031 -1.343 4.559 Y
-2.784 1.833 3.042 Y
-2.517 4.418 0.985 Sc
-3.033 2.466 6.575 Sc

***

Entry 2
Pm3Y8Sc2 GGA-PBE optimized geometry; symmetry = C2/m
1.0
-5.702 3.541 -1.481
1.259 1.223 8.332
5.846 5.903 1.864
Pm Y Sc
3 8 2
Cartesian
-2.851 1.771 -0.741 Pm
5.043 5.084 2.996 Pm
2.062 2.042 7.200 Pm
2.846 4.982 5.624 Y
-1.443 5.686 3.091 Y
-3.765 4.810 0.811 Y
5.168 5.857 7.904 Y
-0.059 2.964 4.512 Y
1.627 4.684 2.135 Y
-0.224 5.983 6.580 Y
1.462 7.703 4.204 Y
-0.916 2.757 1.346 Sc
2.319 7.910 7.370 Sc

***

It is entry 1 that is most stable; the runner-up trails by 0.115 eV/atom.

=====

1.
A geometry-optimized ErAgSnAu structure, computed with GGA-PBE.

a b c (Å): 4.9516 4.9516 4.9516
angles (deg): 60.00 60.00 60.00
Fractional coordinates of all 4 atoms:
1 Au 0.0000 0.0000 0.0000
2 Er 0.7500 0.7500 0.7500
3 Sn 0.2500 0.2500 0.2500
4 Ag 0.5000 0.5000 0.5000

Properties
The calculation puts the magnetic moment at 0.00 μB per formula unit. The density comes out at 11.4 Mg/m³. Its uncorrected energy is -4.19 eV/atom. As for the space group: F-43m (216).

2.
A geometry-optimized SrErAgAu structure, computed with GGA-PBE.

a b c (Å): 5.2463 5.2463 5.2463
angles (deg): 60.00 60.00 60.00
Fractional coordinates of all 4 atoms:
1 Er 0.5000 0.5000 0.5000
2 Ag 0.2500 0.2500 0.2500
3 Au 0.7500 0.7500 0.7500
4 Sr 0.0000 0.0000 0.0000

Properties
The calculation puts the magnetic moment at 0.00 μB per formula unit. The density comes out at 9.1 Mg/m³. Its uncorrected energy is -3.55 eV/atom. As for the space group: F-43m (216).

3.
A geometry-optimized TbErAgAu structure, computed with GGA-PBE.

a b c (Å): 3.5898 3.5898 7.2850
angles (deg): 90.00 90.00 90.00
Fractional coordinates of all 4 atoms:
1 Ag 0.0000 0.0000 0.8652
2 Tb 0.5000 0.5000 0.6018
3 Au 0.0000 0.0000 0.3485
4 Er 0.5000 0.5000 0.1124

Properties
The calculation puts the magnetic moment at 0.00 μB per formula unit. The density comes out at 11.2 Mg/m³. The energy above the most stable polymorph in this dataset comes out at 0.000 eV per atom. As for the space group: P4mm (99).

4.
A geometry-optimized TbErAgAu structure, computed with GGA-PBE.

a b c (Å): 5.1002 5.1002 5.1002
angles (deg): 60.00 60.00 60.00
Fractional coordinates of all 4 atoms:
1 Au 0.7500 0.7500 0.7500
2 Tb 0.0000 0.0000 0.0000
3 Ag 0.2500 0.2500 0.2500
4 Er 0.5000 0.5000 0.5000

Properties
The calculation puts the magnetic moment at 0.00 μB per formula unit. The density comes out at 11.2 Mg/m³. The energy above the most stable polymorph in this dataset comes out at 0.006 eV per atom. As for the space group: F-43m (216).

=====

No. 1
# SrTm2In2Hg2

An optimized crystal structure of SrTm2In2Hg2 (PBE, Alexandria via LeMat-Bulk).